Next, find the line underneath that holds "the uncorrected", then write out that line and all lines after it there.

/*
Entry 1:
VASP calculation (PBE) on an optimized crystal structure of CdIn2Si.

a b c (Å): 9.3217 9.3217 9.3217
angles (deg): 21.40 21.40 21.40
Closest atoms and distances in Å follow each position.
Element x y z (fractional)
Cd (0.0000, 0.0000, 0.0000)  3 Si 2.85, 3 In 3.14
In (0.2446, 0.2446, 0.2446)  3 Cd 3.14, 9 In 3.22-3.46
In (0.4855, 0.4855, 0.4855)  3 Si 2.92, 3 In 3.22
Si (0.7410, 0.7410, 0.7410)  3 Cd 2.85, 3 In 2.92

Values from the calculation:
space-group type	No. 160
uncorrected formation energy	0.274	eV/atom

Entry 2:
VASP calculation (PBE) on an optimized crystal structure of CdIn2Si.

a b c (Å): 7.0035 7.0035 7.0035
angles (deg): 119.89 119.89 90.20
Closest atoms and distances in Å follow each position.
Element x y z (fractional)
Cd (0.0000, 0.0000, 0.0000)  4 In 2.95
Cd (0.7500, 0.2500, 0.5000)  4 In 2.95
In (0.1635, 0.1250, 0.5385)  2 Si 2.61
In (0.3750, 0.8365, 0.9615)  2 Si 2.61
In (0.5865, 0.6250, 0.4615)  2 Si 2.61
In (0.8750, 0.4135, 0.0385)  2 Si 2.61
Si (0.2500, 0.7500, 0.5000)  4 In 2.61
Si (0.5000, 0.5000, 0.0000)  4 In 2.61

Values from the calculation:
space-group type	No. 122
uncorrected formation energy	0.369	eV/atom

Entry 3:
VASP calculation (PBE) on an optimized crystal structure of Cd2InSi2.

a b c (Å): 9.3746 9.3746 9.3746
angles (deg): 158.61 158.61 30.43
Closest atoms and distances in Å follow each position.
Element x y z (fractional)
Cd (0.1144, 0.1144, 0.0000)  4 Si 3.01, 4 In 3.22
Cd (0.8856, 0.8856, 0.0000)  4 Si 3.01, 4 In 3.22
In (0.5000, 0.5000, 0.0000)  8 Cd 3.22, 4 In 3.48
Si (0.2500, 0.7500, 0.5000)  4 Si 2.46
Si (0.7500, 0.2500, 0.5000)  4 Si 2.46

Values from the calculation:
space-group type	No. 139
uncorrected formation energy	0.237	eV/atom
energy above the lowest structure with this stoichiometry	0	meV per atom

Entry 4:
VASP calculation (PBE) on an optimized crystal structure of CdIn2Si.

a b c (Å): 3.2778 3.2778 8.6524
angles (deg): 90.00 90.00 94.56
Closest atoms and distances in Å follow each position.
Element x y z (fractional)
Cd (0.0000, 0.0000, 0.0000)  8 In 3.22-3.35, 4 Cd 3.28
In (0.5000, 0.5000, 0.2695)  4 Si 2.99-3.13, 2 Cd 3.22, 4 In 3.28
In (0.5000, 0.5000, 0.7305)  4 Si 2.99-3.13, 2 Cd 3.22, 4 In 3.28
Si (0.0000, 0.0000, 0.5000)  8 In 2.99-3.13, 4 Si 3.28

Values from the calculation:
space-group type	No. 65
uncorrected formation energy	0.246	eV/atom

Q: Which of these has the highest uncorrected formation energy?
A: number 2

Q: Look up the uncorrected formation energy of the second one.
A: 0.369 eV/atom

~~~~~

Entry 1:
VASP calculation (GGA-PBE) on a relaxed structure of CoReCl.

Properties
ΔE_f (raw): 0.568 eV per atom
Energy above the lowest structure with this stoichiometry: 119 meV/atom
DFT total energy: -19.70 eV/f.u.

Cell: 2.840 2.840 11.943 Å, 90.00 90.00 90.00°
Space group I4mm (No. 107)
Inequivalent atoms, fractional coordinates:
1 Co 0.000 0.000 0.000 (multiplicity 2)
2 Re 0.000 0.000 0.619 (multiplicity 2)
3 Cl 0.000 0.000 0.272 (multiplicity 2)

=====

Entry 2:
VASP calculation (GGA-PBE) on a relaxed structure of CoReCl.

Properties
ΔE_f (raw): 0.914 eV per atom
Energy above the lowest structure with this stoichiometry: 465 meV/atom
DFT total energy: -18.66 eV/f.u.

Cell: 4.1698 4.1698 2.7533 Å, 90.00 90.00 120.00°
Space group P-6m2 (No. 187)
Inequivalent atoms, fractional coordinates:
1 Co 0.0000 0.0000 0.0000 (multiplicity 1)
2 Re 0.6667 0.3333 0.5000 (multiplicity 1)
3 Cl 0.3333 0.6667 0.5000 (multiplicity 1)

=====

Entry 3:
VASP calculation (GGA-PBE) on a relaxed structure of Co2ReCl.

Properties
ΔE_f (raw): 0.919 eV per atom
Energy above the lowest structure with this stoichiometry: 657 meV/atom
DFT total energy: -24.83 eV/f.u.

Cell: 5.884 5.884 5.884 Å, 90.00 90.00 90.00°
Space group F-43m (No. 216)
Inequivalent atoms, fractional coordinates:
1 Co 0.000 0.000 0.000 (multiplicity 4)
2 Co 0.250 0.250 0.250 (multiplicity 4)
3 Re 0.000 0.000 0.500 (multiplicity 4)
4 Cl 0.250 0.250 0.750 (multiplicity 4)

=====
*/

Q: Look up the uncorrected formation energy of the second one.
A: 0.369 eV/atom

~~~~~

Entry 1:
VASP calculation (GGA-PBE) on a relaxed structure of CoReCl.

Properties
ΔE_f (raw): 0.568 eV per atom
Energy above the lowest structure with this stoichiometry: 119 meV/atom
DFT total energy: -19.70 eV/f.u.

Cell: 2.840 2.840 11.943 Å, 90.00 90.00 90.00°
Space group I4mm (No. 107)
Inequivalent atoms, fractional coordinates:
1 Co 0.000 0.000 0.000 (multiplicity 2)
2 Re 0.000 0.000 0.619 (multiplicity 2)
3 Cl 0.000 0.000 0.272 (multiplicity 2)

=====

Entry 2:
VASP calculation (GGA-PBE) on a relaxed structure of CoReCl.

Properties
ΔE_f (raw): 0.914 eV per atom
Energy above the lowest structure with this stoichiometry: 465 meV/atom
DFT total energy: -18.66 eV/f.u.

Cell: 4.1698 4.1698 2.7533 Å, 90.00 90.00 120.00°
Space group P-6m2 (No. 187)
Inequivalent atoms, fractional coordinates:
1 Co 0.0000 0.0000 0.0000 (multiplicity 1)
2 Re 0.6667 0.3333 0.5000 (multiplicity 1)
3 Cl 0.3333 0.6667 0.5000 (multiplicity 1)

=====

Entry 3:
VASP calculation (GGA-PBE) on a relaxed structure of Co2ReCl.

Properties
ΔE_f (raw): 0.919 eV per atom
Energy above the lowest structure with this stoichiometry: 657 meV/atom
DFT total energy: -24.83 eV/f.u.

Cell: 5.884 5.884 5.884 Å, 90.00 90.00 90.00°
Space group F-43m (No. 216)
Inequivalent atoms, fractional coordinates:
1 Co 0.000 0.000 0.000 (multiplicity 4)
2 Co 0.250 0.250 0.250 (multiplicity 4)
3 Re 0.000 0.000 0.500 (multiplicity 4)
4 Cl 0.250 0.250 0.750 (multiplicity 4)

=====